**Brief:**
Your job: count the lines underneath that contain the word "pos" and give the number alone.

**Source:**
┌──
[1]
82
Properties=species:S:1:pos:R:3 method="wB97M-V/def2-TZVPD" orbital_gap_ev=7.136 e_lumo_ev=-0.557
C -2.15 -0.44 -5.14
C -1.13 -1.54 -5.44
C 0.32 -1.07 -5.36
C 0.34 -0.32 -4.05
C 1.64 -0.15 -3.26
C 1.42 1.04 -2.32
C 1.89 0.74 -0.89
C 0.70 0.73 0.08
C 1.09 -0.15 1.28
C 2.25 0.36 2.16
N 2.97 -0.79 2.71
C 4.35 -0.46 3.15
C 4.56 -0.30 4.65
C 2.20 -1.46 3.69
C 2.55 -2.92 3.91
O 1.28 -0.94 4.28
N -0.50 0.17 -0.61
Cl -0.31 -1.47 -1.12
C -1.55 0.49 0.18
N -2.79 0.10 0.07
C -3.29 -0.83 -0.97
C -4.63 -0.26 -1.48
C -3.54 -2.26 -0.44
C -2.62 -2.79 0.66
N -1.18 1.44 1.15
C 0.06 2.05 0.53
I -0.85 3.29 -1.11
C 0.87 3.05 1.34
C 0.44 3.15 2.81
C 1.56 3.67 3.69
C -0.81 4.05 2.96
H -3.17 -0.77 -5.29
H -1.95 0.43 -5.77
H -2.10 -0.09 -4.11
H -1.40 -1.96 -6.41
H -1.25 -2.35 -4.72
H 0.99 -1.93 -5.33
H 0.59 -0.49 -6.25
H -0.33 -0.89 -3.41
H -0.05 0.68 -4.21
H 1.85 -1.05 -2.69
H 2.50 -0.01 -3.92
H 1.96 1.90 -2.72
H 0.38 1.30 -2.36
H 2.72 1.37 -0.60
H 2.27 -0.27 -0.88
H 0.25 -0.32 1.95
H 1.40 -1.13 0.94
H 1.83 0.96 2.96
H 2.94 0.99 1.62
H 4.70 0.41 2.61
H 4.99 -1.29 2.83
H 3.83 0.38 5.08
H 5.56 0.07 4.80
H 4.52 -1.27 5.15
H 3.10 -3.29 3.05
H 3.12 -3.03 4.82
H 1.61 -3.45 3.96
H -3.44 0.50 0.73
H -2.61 -0.82 -1.81
H -5.35 -1.05 -1.62
H -5.04 0.43 -0.75
H -4.49 0.29 -2.41
H -3.45 -2.90 -1.32
H -4.56 -2.32 -0.08
H -1.87 -3.45 0.24
H -3.17 -3.38 1.39
H -2.10 -2.02 1.22
H -1.88 2.18 1.10
H 0.79 4.05 0.94
H 1.93 2.80 1.31
H 0.14 2.18 3.20
H 1.25 3.55 4.73
H 2.48 3.09 3.58
H 1.75 4.73 3.55
H -0.86 4.79 2.17
H -1.72 3.46 3.01
H -0.75 4.58 3.91
N -3.27 -2.95 -2.84
O -2.79 -3.87 -3.53
O -2.51 -2.21 -2.14
O -4.50 -2.74 -2.84

[2]
45
Properties=species:S:1:pos:R:3 method="wB97M-V/def2-TZVPD" orbital_gap_ev=9.420 e_lumo_ev=0.656 smiles=Cc1ccc([Si](O)(c2ccc(C)cc2)c2ccc(C)cc2)cc1 de_lowest_kj_mol=157.07
C 2.76 3.81 -2.51
C 1.55 2.97 -2.25
C 0.51 3.54 -1.54
C -0.50 2.73 -1.07
C -0.62 1.39 -1.44
Si -1.61 0.28 -0.34
O -3.27 0.47 -0.05
C -1.30 -1.52 -0.67
C -1.64 -1.89 -1.94
C -1.34 -3.18 -2.37
C -0.66 -4.03 -1.54
C -0.42 -5.47 -1.98
C -0.18 -3.53 -0.37
C -0.47 -2.25 0.06
C -0.90 0.70 1.39
C -1.62 0.51 2.54
C -1.01 0.58 3.82
C 0.31 0.85 3.95
C 1.02 1.04 5.24
C 1.00 1.11 2.73
C 0.41 1.05 1.46
C 0.42 0.80 -2.21
C 1.49 1.64 -2.50
H 2.71 4.79 -2.85
H 3.38 3.29 -3.28
H 3.42 3.78 -1.63
H 0.55 4.59 -1.35
H -1.31 3.14 -0.47
H -3.63 -0.25 0.56
H -2.00 -1.16 -2.69
H -1.62 -3.42 -3.39
H 0.40 -5.58 -2.73
H 0.04 -6.08 -1.14
H -1.28 -6.10 -2.36
H 0.52 -4.18 0.19
H -0.25 -2.01 1.11
H -2.69 0.40 2.54
H -1.55 0.25 4.64
H 1.43 0.11 5.57
H 0.34 1.57 5.94
H 1.95 1.65 5.17
H 2.00 1.44 2.81
H 1.00 1.19 0.55
H 0.55 -0.23 -2.39
H 2.13 1.23 -3.20

[3]
51
Properties=species:S:1:pos:R:3 method="wB97M-V/def2-TZVPD" orbital_gap_ev=6.205 e_lumo_ev=-5.984 total_charge=+1
O 2.90 -4.02 -0.43
V 2.69 -2.59 -1.02
O 4.04 -2.36 -1.96
O -2.73 -0.41 0.76
V -1.41 -1.28 0.66
O -1.73 -2.63 1.51
N 0.14 2.95 0.41
H -0.22 3.41 -0.43
H -0.51 3.29 1.14
H 1.07 3.26 0.70
H 0.06 1.92 0.41
C 0.80 -0.61 -0.65
O -0.07 0.30 -0.41
O 0.52 -1.79 -0.28
O 1.89 -0.45 -1.27
O -0.41 1.60 -2.91
H 0.34 1.36 -3.48
H -0.29 1.12 -2.07
O 1.87 -0.28 -4.05
H 1.90 -0.24 -3.09
H 2.80 -0.26 -4.33
O 3.80 1.07 1.25
H 4.65 1.44 1.53
H 3.72 1.30 0.31
O 3.38 1.83 -1.45
H 2.87 0.99 -1.42
H 2.83 2.45 -1.94
C -4.35 1.63 -3.47
C -3.85 2.70 -2.49
C -3.58 2.23 -1.06
O -2.65 3.26 -3.01
H -4.61 2.08 -4.42
H -5.24 1.14 -3.06
H -3.59 0.86 -3.60
H -4.60 3.49 -2.44
H -2.59 1.78 -0.98
H -4.29 1.48 -0.72
H -3.75 3.05 -0.36
H -1.99 2.56 -3.06
C 1.49 -2.78 3.15
C 0.32 -3.04 4.10
C 0.73 -3.99 5.19
O -0.16 -1.81 4.64
H 1.91 -3.73 2.81
H 2.23 -2.16 3.64
H 1.09 -2.28 2.27
H -0.52 -3.50 3.59
H -0.02 -4.28 5.93
H 1.60 -3.57 5.72
H 1.09 -4.94 4.78
H 0.42 -1.57 5.37

[4]
47
Properties=species:S:1:pos:R:3 method="wB97M-V/def2-TZVPD" orbital_gap_ev=8.020 e_lumo_ev=-3.383 total_charge=+1 de_lowest_kj_mol=23.99
C 0.52 2.27 -1.58
C 0.20 1.79 -3.01
C -0.23 3.62 -1.33
C 2.03 2.59 -1.51
H 0.20 4.39 -1.98
H -0.18 3.99 -0.30
H -1.30 3.58 -1.57
H 0.89 2.33 -3.68
└──

**Written answer:**
4